• What to do:
Echo only the last part of the entries further down, starting with the line that has "58.17".
• Material:
=====
This entry pairs a crystal structure of KTbCr2O8 with its computed powder diffractogram. Radiation: CuKα. Structure: the PBE+U geometry in Alexandria.

The 10 most intense peaks (2θ from 15° to 90°), low angle first:
2θ/deg  d_spacing  intensity  (hkl)
15.95  5.558  100  0 1 2
18.02  4.922  56  1 1 0
19.10  4.647  21  0 2 0
25.36  3.513  87  1 2 1
25.73  3.462  54  0 0 4
27.74  3.216  84  1 2 2
30.85  2.899  38  2 0 0
31.34  2.854  49  1 2 3
31.58  2.833  27  1 1 4
46.64  1.947  34  1 3 5

Cell and atoms:
Cell: 5.798 9.317 13.849 Å, 90.00 90.00 90.00°
Space group P2_12_12_1 (No. 19)
One atom of each set of equivalent atoms:
K 0.207 0.108 0.094
Tb 0.221 0.452 0.643
Cr 0.225 0.320 0.383
Cr 0.230 0.146 0.838
O 0.000 0.153 0.912
O 0.014 0.201 0.394
O 0.021 0.762 0.890
O 0.032 0.889 0.403
O 0.166 0.010 0.766
O 0.198 0.398 0.275
O 0.202 0.443 0.469
O 0.241 0.699 0.280

~~~~~

# SrSmScO4
Computed powder XRD pattern, Cu Kα, 1.54184 Å. Input: a GGA-PBE-relaxed structure.

Peak list (6 most intense, 10° ≤ 2θ ≤ 90°, low angle first)
h k l  Position (°2θ)  I/Imax
1 1 1  22.90  29
0 0 2  30.39  33
1 3 1  30.88  100
2 0 0  31.38  35
2 0 2  44.24  46
1 3 3  54.31  25

Cell and atoms:
abc: 5.7010 12.2918 5.8818
angles: 90.00 90.00 90.00
Space group Cmc2_1 (No. 36)
Unique sites:
Sr: 0.0000 0.1044 0.0000 x4
Sm: 0.0000 0.3940 0.9790 x4
Sc: 0.0000 0.2460 0.4830 x4
O: 0.0000 0.0837 0.4168 x4
O: 0.0000 0.4326 0.5936 x4
O: 0.2404 0.2783 0.2235 x8

---

# Sm2ScTaO7
Computed powder XRD pattern, Cu Kα, 1.54184 Å. Input: a GGA-PBE-relaxed structure.

Peak list (6 most intense, 10° ≤ 2θ ≤ 90°, low angle first)
h k l  Position (°2θ)  I/Imax
0 2 2  29.12  99
2 0 2  29.45  100
0 0 4  33.94  66
2 2 4  48.77  62
2 4 2  57.60  31
4 2 2  58.17  28

Cell and atoms:
abc: 7.4121 7.5346 10.5560
angles: 90.00 90.00 90.00
Space group Imma (No. 74)
Unique sites:
Sm: 0.0000 0.0000 0.0000 x4
Sm: 0.2500 0.2500 0.2500 x4
Sc: 0.2500 0.2500 0.7500 x4
Ta: 0.0000 0.0000 0.5000 x4
O: 0.0000 0.2500 0.1283 x4
O: 0.0000 0.2500 0.4335 x4
O: 0.0000 0.2500 0.8473 x4
O: 0.1985 0.0327 0.6253 x16
=====
• Worked solution:
4 2 2  58.17  28

Cell and atoms:
abc: 7.4121 7.5346 10.5560
angles: 90.00 90.00 90.00
Space group Imma (No. 74)
Unique sites:
Sm: 0.0000 0.0000 0.0000 x4
Sm: 0.2500 0.2500 0.2500 x4
Sc: 0.2500 0.2500 0.7500 x4
Ta: 0.0000 0.0000 0.5000 x4
O: 0.0000 0.2500 0.1283 x4
O: 0.0000 0.2500 0.4335 x4
O: 0.0000 0.2500 0.8473 x4
O: 0.1985 0.0327 0.6253 x16